Planning to travel with atrial fibrillation?
Travel tips with atrial fibrillation
Some helpful tips to remember include:
- Bring your medications. Bring all of the medications you'll need for your trip, and keep them in your carry-on luggage.
- Carry a list of your medications. Having a list of your medications will make it easier to refill the medications if you run out of them or lose them. You may also want to bring copies of your original prescriptions.
- Take your time. Get to the airport early to give yourself plenty of time before your plane is due to depart.
- Bring your doctor's phone number. Keep your doctor's phone number on hand when you travel.
- Wear a medical alert bracelet. Your doctor may recommend that you wear a medical alert bracelet with information about your condition printed on it.
- Take steps to prevent blood clots. During your plane flight, walk around when you can to prevent blood clots in your legs. Your doctor also may recommend that you wear compression stockings.
- Find medical centers close to your travel destination. Before you leave, look at medical centers close to the destination where you'll be traveling. Find out what services your health insurance will cover. This can help prepare you in case of an emergency.
- Check the contact information for embassies. If you're traveling internationally, bring the address and contact information of the U.S. embassies or consulates in the countries where you'll be traveling. They can help with medical care in the area and offer general advice.
- Buy travel health insurance. Buy travel health insurance and medical evacuation insurance before your trip, in case of emergency while traveling overseas.
- Monitor the effects of blood-thinning medications. If you're taking warfarin (Coumadin, Jantoven), a type of blood-thinning medication, you'll need regular blood tests to monitor its effects. Check with your doctor to see if you'll need to test your blood while you're away.
**Misplaced molecular data**
239
Properties=species:S:1:pos:R:3:forces:R:3:lowdin_charge:R:1 method="wB97M-V/def2-TZVPD" lumo_energy_ev=0.4 energy_ha=-4976.169928
C -1.550726 1.454227 7.031426 1.0 1.1 2.0 -0.13
O -1.893538 1.920437 5.757549 -0.1 -1.5 -0.2 -0.19
C -2.054265 0.794686 4.880485 -1.0 0.9 -1.7 -0.21
C -0.797335 0.252164 4.233617 -0.4 -2.0 0.6 -0.23
N -0.170020 1.174915 3.330254 -0.8 1.3 1.2 -0.04
C 0.674725 2.191161 4.028084 -0.3 -0.1 -3.1 -0.10
C 1.737296 2.634417 2.958289 0.6 -0.4 1.1 -0.14
O 2.847569 1.728953 3.161144 -0.8 -0.4 -0.5 -0.25
C 3.844669 1.814635 2.148247 -1.1 -1.1 -0.2 -0.08
H -2.373230 1.054585 7.659196 -0.1 0.2 -0.7 0.09
H -1.152251 2.354444 7.579040 -0.3 -0.9 -0.4 0.10
H -0.766635 0.669601 7.057713 -0.2 0.4 -0.4 0.08
H -2.598430 1.244938 4.015602 -0.1 -0.5 0.5 0.11
H -2.678560 -0.026305 5.291603 0.3 0.5 0.2 0.12
H -1.142833 -0.740817 3.751160 0.6 1.6 0.2 0.14
H -0.068466 -0.099772 4.982327 -0.2 0.1 0.2 0.09
H 0.369700 0.667428 2.679480 0.8 -0.5 -0.8 0.04
H 1.197860 1.734722 4.823097 0.9 -0.5 1.1 0.10
H 0.076806 2.993009 4.448356 -0.1 0.2 -0.3 0.11
H 2.101702 3.646568 3.145798 -0.1 0.1 -0.1 0.12
H 1.487465 2.548916 1.877779 -0.6 0.1 0.9 0.10
H 4.471350 2.632520 2.450319 0.8 0.4 -0.6 0.09
H 3.379742 1.944279 1.111167 0.6 0.1 1.2 0.10
H 4.341659 0.818514 2.182285 0.2 0.9 -0.1 0.09
C 3.172893 2.394304 -6.715275 -0.7 -0.4 0.9 -0.10
O 2.632111 3.283851 -5.752059 0.2 0.3 0.8 -0.23
C 3.514661 4.309767 -5.259785 -0.5 -0.1 -1.9 -0.21
C 2.788982 4.950163 -4.131701 -0.3 -0.1 1.0 -0.20
N 2.684813 4.088962 -2.951361 -0.9 0.1 0.8 -0.07
C 2.178145 4.900735 -1.818788 1.0 -0.7 0.7 -0.19
C 2.273103 3.980341 -0.595572 1.2 1.1 1.0 -0.21
O 1.906976 4.644760 0.624252 0.5 0.0 -0.3 -0.21
C 0.496941 4.747617 0.749258 0.7 0.3 -0.7 -0.10
H 4.011784 1.753350 -6.269812 -0.9 0.9 -0.8 0.11
H 3.456674 3.042172 -7.550473 0.4 -0.7 -0.4 0.08
H 2.274223 1.751823 -6.969154 1.4 0.5 -0.1 0.10
H 3.770709 5.022749 -6.088625 -0.5 -0.2 0.5 0.13
H 4.460062 3.891054 -5.004768 0.8 -0.6 0.7 0.10
H 1.828937 5.335085 -4.507328 0.0 -0.2 0.2 0.13
H 3.293032 5.761285 -3.624831 0.6 0.8 -1.0 0.11
H 2.043523 3.302880 -3.010758 -0.1 0.2 -0.8 0.09
H 1.137031 5.303134 -1.843972 0.8 -0.2 -0.7 0.11
H 2.944925 5.705431 -1.707184 -0.9 -0.3 0.3 0.13
H 3.347248 3.650196 -0.502064 -1.1 0.3 0.1 0.12
H 1.644440 3.109763 -0.658713 -0.4 -0.7 -0.5 0.10
H 0.132395 5.308467 -0.105647 -0.4 0.2 -0.1 0.06
H 0.258985 5.316834 1.648915 0.0 -0.5 0.1 0.11
H 0.079372 3.746775 0.677138 -0.5 -0.1 0.5 0.07
C -0.729204 -3.132885 9.379459 1.4 -0.5 -1.1 -0.14
O -1.432411 -2.362033 8.441156 0.3 0.0 -1.6 -0.20
C -1.034046 -2.632065 7.037442 -1.0 1.4 1.5 -0.18
C -1.563294 -3.908753 6.460855 -0.6 -1.4 0.6 -0.23
N -1.593138 -3.719307 5.037652 0.9 -0.9 -0.4 -0.06
C -1.748487 -4.906598 4.224391 2.3 0.2 0.4 -0.19
C -1.674786 -4.566842 2.756613 0.6 1.2 0.3 -0.22
O -2.995005 -4.485035 2.391864 -1.7 -0.4 0.5 -0.20
C -3.208922 -4.191478 1.087100 -0.2 0.5 -1.9 -0.14
H 0.377779 -3.055506 9.206296 -0.6 -0.1 0.0 0.10
**So much for the molecular data**
- Ask about high altitudes. If you're going to be staying at a high-altitude location, such as in the mountains, check with your doctor first. High altitudes may worsen some types of heart rhythm disorders (arrhythmias). Your doctor may suggest that you rest and lower your normal activity level for several days after arriving at a high altitude. Also, watch for any new or unusual signs or symptoms of your condition or of altitude sickness.
With some planning, you can enjoy your travels and live an active life with atrial fibrillation.